Source:
********
Computed, not measured: 2 unconnected molecules or ions with the total composition C6H10O at a distorted geometry, with wB97M-V/def2-TZVPD.

ΔE to the lowest compared entry with this formula, charge and spin ... 7.42 kJ/mol
DFT total energy ... -309.785328 Eh
Lowest unoccupied orbital energy (spin up / spin down) ... 4.06 / 4.04 eV
⟨S²⟩ ... 0.7862
Gap between HOMO and LUMO (spin up / spin down) ... 4.860 / 6.708 eV

Structure (ORCA input):
```
! RIJCOSX wB97M-V def2-TZVPD def2/J DEFGRID3
* xyz -1 2
C -2.022 0.480 -0.403
C -2.562 -0.437 0.506
C 0.353 -0.390 -0.651
C -0.714 0.460 -0.953
C 2.615 -1.239 -1.411
C 1.521 -0.422 -1.441
H -2.733 1.141 -0.898
H -3.547 -0.209 0.894
H -1.856 -1.082 1.013
H 0.327 -0.923 0.291
H -0.579 1.184 -1.756
H 2.624 -2.067 -0.702
H 3.268 -1.318 -2.277
H 1.373 0.181 -2.335
H -0.236 1.474 2.708
H 1.300 1.431 2.684
O 0.541 1.187 3.219
*
```

natural (NBO) population analysis, charges in e, atoms 1 to 2: C -0.27; C -0.62

=====

Computed, not measured: 2 unconnected molecules or ions with the total composition C6H10O, with wB97M-V/def2-TZVPD.

ΔE to the lowest compared entry with this formula, charge and spin ... 154.10 kJ/mol
DFT total energy ... -309.783676 Eh
Lowest unoccupied orbital energy ... 0.47 eV
Gap between HOMO and LUMO ... 10.041 eV

Structure (ORCA input):
```
! RIJCOSX wB97M-V def2-TZVPD def2/J DEFGRID3
* xyz 0 1
C -1.749 -0.575 -0.161
C -0.729 -1.387 -0.418
C -0.332 -2.380 0.600
O 0.179 -3.442 0.328
H -2.188 0.060 -0.922
H -2.188 -0.539 0.834
H -0.222 -1.437 -1.379
H -0.594 -2.114 1.648
C 1.610 0.295 0.491
C 1.220 1.119 -0.476
C 0.154 2.161 -0.323
H 2.337 -0.495 0.322
H 1.174 0.354 1.488
H 1.647 1.008 -1.474
H 0.504 3.150 -0.640
H -0.189 2.231 0.715
H -0.717 1.915 -0.946
*
```

natural (NBO) population analysis, charges in e, atoms 1 to 2: C -0.34; C -0.29

=====

Computed, not measured: C6H10O in the gas phase, with wB97M-V/def2-TZVPD.

ΔE to the lowest compared entry with this formula, charge and spin ... 4.64 kJ/mol
DFT total energy ... -309.840605 Eh
Lowest unoccupied orbital energy ... 1.01 eV
Gap between HOMO and LUMO ... 10.638 eV

Structure (ORCA input):
```
! RIJCOSX wB97M-V def2-TZVPD def2/J DEFGRID3
* xyz 0 1
O -2.121 0.820 -0.592
C -1.276 -0.309 -0.369
C -0.865 -0.406 1.080
C 0.396 -0.343 1.507
C 1.551 -0.068 0.582
C 1.050 0.622 -0.687
C -0.080 -0.188 -1.317
H -2.486 1.092 0.261
H -1.835 -1.226 -0.619
H -1.670 -0.549 1.801
H 0.608 -0.474 2.568
H 2.062 -1.010 0.331
H 2.294 0.555 1.095
H 0.659 1.612 -0.420
H 1.870 0.772 -1.398
H -0.440 0.289 -2.234
H 0.283 -1.189 -1.588
*
```

natural (NBO) population analysis, charges in e, atoms 1 to 2: O -0.72; C 0.06

=====

Computed, not measured: a molecular structure, C6H10O at a distorted geometry, with wB97M-V/def2-TZVPD.

ΔE to the lowest compared entry with this formula, charge and spin ... 380.75 kJ/mol
DFT total energy ... -309.697351 Eh
Lowest unoccupied orbital energy ... 1.03 eV
Gap between HOMO and LUMO ... 9.138 eV

Structure (ORCA input):
```
! RIJCOSX wB97M-V def2-TZVPD def2/J DEFGRID3
* xyz 0 1
C 2.294 -0.123 -0.167
C 1.093 0.751 0.199
C -0.025 -0.071 0.811
O -1.109 0.728 1.372
C -2.054 -0.155 0.855
C -1.781 -0.020 -0.997
C -1.034 -0.856 -0.039
H 2.019 -0.887 -0.906
H 2.688 -0.639 0.718
H 3.106 0.477 -0.593
H 0.725 1.293 -0.681
H 1.386 1.509 0.938
H 0.376 -0.710 1.609
H -2.878 0.259 0.122
H -2.444 -0.551 -1.689
H -1.383 0.925 -1.363
H -0.980 -1.930 -0.189
*
```

natural (NBO) population analysis, charges in e, atoms 1 to 2: C -0.61; C -0.42


Density functional theory data (ωB97M-V/def2-TZVPD) for a 7-piece molecular cluster, C24H60N2O7 overall.

Last column: Mulliken charge in e.
Cartesian coordinates (Å):
C (-1.993, 1.951, 4.360)  -1.949
C (-2.257, 1.190, 3.108)  1.987
C (-1.343, 1.772, 1.912)  -1.320
C (-1.896, -0.275, 3.352)  -1.493
C (-2.153, -1.179, 2.153)  0.854
C (-3.611, -1.125, 1.818)  -1.523
C (-4.192, 0.335, 1.686)  1.745
C (-3.915, 0.882, 0.283)  -1.220
C (-5.658, 0.320, 1.865)  -1.981
********

To do:
Type out everything above word for word.

Solution:
Computed, not measured: 2 unconnected molecules or ions with the total composition C6H10O at a distorted geometry, with wB97M-V/def2-TZVPD.

ΔE to the lowest compared entry with this formula, charge and spin ... 7.42 kJ/mol
DFT total energy ... -309.785328 Eh
Lowest unoccupied orbital energy (spin up / spin down) ... 4.06 / 4.04 eV
⟨S²⟩ ... 0.7862
Gap between HOMO and LUMO (spin up / spin down) ... 4.860 / 6.708 eV

Structure (ORCA input):
```
! RIJCOSX wB97M-V def2-TZVPD def2/J DEFGRID3
* xyz -1 2
C -2.022 0.480 -0.403
C -2.562 -0.437 0.506
C 0.353 -0.390 -0.651
C -0.714 0.460 -0.953
C 2.615 -1.239 -1.411
C 1.521 -0.422 -1.441
H -2.733 1.141 -0.898
H -3.547 -0.209 0.894
H -1.856 -1.082 1.013
H 0.327 -0.923 0.291
H -0.579 1.184 -1.756
H 2.624 -2.067 -0.702
H 3.268 -1.318 -2.277
H 1.373 0.181 -2.335
H -0.236 1.474 2.708
H 1.300 1.431 2.684
O 0.541 1.187 3.219
*
```

natural (NBO) population analysis, charges in e, atoms 1 to 2: C -0.27; C -0.62

=====

Computed, not measured: 2 unconnected molecules or ions with the total composition C6H10O, with wB97M-V/def2-TZVPD.

ΔE to the lowest compared entry with this formula, charge and spin ... 154.10 kJ/mol
DFT total energy ... -309.783676 Eh
Lowest unoccupied orbital energy ... 0.47 eV
Gap between HOMO and LUMO ... 10.041 eV

Structure (ORCA input):
```
! RIJCOSX wB97M-V def2-TZVPD def2/J DEFGRID3
* xyz 0 1
C -1.749 -0.575 -0.161
C -0.729 -1.387 -0.418
C -0.332 -2.380 0.600
O 0.179 -3.442 0.328
H -2.188 0.060 -0.922
H -2.188 -0.539 0.834
H -0.222 -1.437 -1.379
H -0.594 -2.114 1.648
C 1.610 0.295 0.491
C 1.220 1.119 -0.476
C 0.154 2.161 -0.323
H 2.337 -0.495 0.322
H 1.174 0.354 1.488
H 1.647 1.008 -1.474
H 0.504 3.150 -0.640
H -0.189 2.231 0.715
H -0.717 1.915 -0.946
*
```

natural (NBO) population analysis, charges in e, atoms 1 to 2: C -0.34; C -0.29

=====

Computed, not measured: C6H10O in the gas phase, with wB97M-V/def2-TZVPD.

ΔE to the lowest compared entry with this formula, charge and spin ... 4.64 kJ/mol
DFT total energy ... -309.840605 Eh
Lowest unoccupied orbital energy ... 1.01 eV
Gap between HOMO and LUMO ... 10.638 eV

Structure (ORCA input):
```
! RIJCOSX wB97M-V def2-TZVPD def2/J DEFGRID3
* xyz 0 1
O -2.121 0.820 -0.592
C -1.276 -0.309 -0.369
C -0.865 -0.406 1.080
C 0.396 -0.343 1.507
C 1.551 -0.068 0.582
C 1.050 0.622 -0.687
C -0.080 -0.188 -1.317
H -2.486 1.092 0.261
H -1.835 -1.226 -0.619
H -1.670 -0.549 1.801
H 0.608 -0.474 2.568
H 2.062 -1.010 0.331
H 2.294 0.555 1.095
H 0.659 1.612 -0.420
H 1.870 0.772 -1.398
H -0.440 0.289 -2.234
H 0.283 -1.189 -1.588
*
```

natural (NBO) population analysis, charges in e, atoms 1 to 2: O -0.72; C 0.06

=====

Computed, not measured: a molecular structure, C6H10O at a distorted geometry, with wB97M-V/def2-TZVPD.

ΔE to the lowest compared entry with this formula, charge and spin ... 380.75 kJ/mol
DFT total energy ... -309.697351 Eh
Lowest unoccupied orbital energy ... 1.03 eV
Gap between HOMO and LUMO ... 9.138 eV

Structure (ORCA input):
```
! RIJCOSX wB97M-V def2-TZVPD def2/J DEFGRID3
* xyz 0 1
C 2.294 -0.123 -0.167
C 1.093 0.751 0.199
C -0.025 -0.071 0.811
O -1.109 0.728 1.372
C -2.054 -0.155 0.855
C -1.781 -0.020 -0.997
C -1.034 -0.856 -0.039
H 2.019 -0.887 -0.906
H 2.688 -0.639 0.718
H 3.106 0.477 -0.593
H 0.725 1.293 -0.681
H 1.386 1.509 0.938
H 0.376 -0.710 1.609
H -2.878 0.259 0.122
H -2.444 -0.551 -1.689
H -1.383 0.925 -1.363
H -0.980 -1.930 -0.189
*
```

natural (NBO) population analysis, charges in e, atoms 1 to 2: C -0.61; C -0.42


Density functional theory data (ωB97M-V/def2-TZVPD) for a 7-piece molecular cluster, C24H60N2O7 overall.

Last column: Mulliken charge in e.
Cartesian coordinates (Å):
C (-1.993, 1.951, 4.360)  -1.949
C (-2.257, 1.190, 3.108)  1.987
C (-1.343, 1.772, 1.912)  -1.320
C (-1.896, -0.275, 3.352)  -1.493
C (-2.153, -1.179, 2.153)  0.854
C (-3.611, -1.125, 1.818)  -1.523
C (-4.192, 0.335, 1.686)  1.745
C (-3.915, 0.882, 0.283)  -1.220
C (-5.658, 0.320, 1.865)  -1.981